_Work order_
Quote the listing further down word for word, please.

_Listing_
- - -
No. 1
DFT (PBE) results for a relaxed Zn4Cd2Ag5 crystal.

a = 5.9600 Å, b = 5.9600 Å, c = 8.3600 Å
α = 120.71°, β = 120.71°, γ = 56.68°
Fractional positions:
Zn 0.2260 0.2260 0.1443
Zn 0.2429 0.2429 0.4848
Zn 0.7571 0.7571 0.5152
Zn 0.7740 0.7740 0.8557
Cd 0.2353 0.2353 0.8078
Cd 0.7647 0.7647 0.1922
Ag 0.2487 0.7430 0.8131
Ag 0.2570 0.7513 0.1869
Ag 0.5000 0.5000 0.5000
Ag 0.7430 0.2487 0.8131
Ag 0.7513 0.2570 0.1869

ΔE to the lowest computed polymorph: 7 meV per atom
Volume: 202.1 Å³/cell
ρ: 8.43 g/cm³

---

No. 2
DFT (PBE) results for a relaxed ZnCd2Ag4 crystal.

a = 11.8022 Å, b = 11.8022 Å, c = 3.8337 Å
α = 90.00°, β = 90.00°, γ = 165.30°
Fractional positions:
Zn 0.0000 0.0000 0.0000
Cd 0.3042 0.6958 0.5000
Cd 0.6958 0.3042 0.5000
Ag 0.1265 0.8735 0.0000
Ag 0.4396 0.5604 0.5000
Ag 0.5604 0.4396 0.5000
Ag 0.8735 0.1265 0.0000

ΔE to the lowest computed polymorph: 0 meV per atom
Volume: 135.5 Å³/cell
ρ: 8.84 g/cm³

---

No. 3
DFT (PBE) results for a relaxed Zn2CdAg crystal.

a = 9.1797 Å, b = 9.1797 Å, c = 9.1797 Å
α = 18.91°, β = 18.91°, γ = 18.91°
Fractional positions:
Zn 0.0000 0.0000 0.0000
Zn 0.2591 0.2591 0.2591
Cd 0.7546 0.7546 0.7546
Ag 0.5124 0.5124 0.5124

Total DFT energy (no corrections): -0.1116 Ry per atom
Volume: 71.0 Å³/cell
ρ: 8.21 g/cm³

=====

# 1
Below is crystalline CePr5Sm4 at its relaxed geometry, with properties calculated at the GGA-PBE level.

Crystal system ... monoclinic
ΔH_f (0 K) ... 99.8 meV per atom
Volume ... 348.5 Å³/cell
DOS at the Fermi energy ... 16.451 states/eV/cell
Total moment ... 0.47 μB per formula unit

Lattice parameters (Å, degrees): 3.5632 11.2186 9.2877 73.37 101.06 90.00
Last column: nearest neighbours and their distance in Å.
Sites, in units of the cell vectors:
Sm1 0.9075 0.8105 0.8150  4 Pr 3.43-3.84, 5 Sm 3.54-3.71, 2 Ce 3.55
Sm2 0.0925 0.1895 0.1850  4 Pr 3.43-3.84, 5 Sm 3.54-3.71, 2 Ce 3.55
Ce1 0.5000 0.0000 0.0000  6 Sm 3.40-3.55, 2 Ce 3.56, 4 Pr 3.66
Pr1 0.7947 0.6011 0.5894  7 Pr 3.50-3.78, 2 Sm 3.50-3.55
Sm3 0.3054 0.0809 0.6108  1 Ce 3.40, 3 Pr 3.50-3.64, 7 Sm 3.54-3.71
Pr2 0.1043 0.7164 0.2086  3 Sm 3.43-3.64, 5 Pr 3.50-3.78, 2 Ce 3.66
Pr3 0.5000 0.5000 0.0000  6 Pr 3.56-3.92, 4 Sm 3.84
Pr4 0.8957 0.2836 0.7914  3 Sm 3.43-3.64, 5 Pr 3.50-3.78, 2 Ce 3.66
Sm4 0.6946 0.9191 0.3892  1 Ce 3.40, 3 Pr 3.50-3.64, 7 Sm 3.54-3.71
Pr5 0.2053 0.3989 0.4106  7 Pr 3.50-3.78, 2 Sm 3.50-3.55


# 2
Below is crystalline ZrZn2Pt at its relaxed geometry, with properties calculated at the GGA-PBE level.

Crystal system ... tetragonal
ΔH_f (0 K) ... -596.0 meV per atom
Volume ... 66.4 Å³/cell
DOS at the Fermi energy ... 2.341 states/eV/cell
Total moment ... 0.00 μB per formula unit

Lattice parameters (Å, degrees): 4.5635 4.5635 4.5635 120.72 120.79 88.70
Last column: nearest neighbours and their distance in Å.
Sites, in units of the cell vectors:
Zn1 0.0000 0.0000 0.0000  4 Zn 2.78-2.79, 4 Pt 2.78-2.79
Zr1 0.5000 0.5000 0.0000  4 Pt 2.78, 4 Zn 2.78
Zn2 0.7498 0.2498 0.5000  4 Zn 2.78-2.79, 4 Zr 2.78
Pt1 0.2502 0.7502 0.5000  4 Zn 2.78-2.79, 4 Zr 2.78


Please write out number 2 again, unchanged.
Below is crystalline ZrZn2Pt at its relaxed geometry, with properties calculated at the GGA-PBE level.

Crystal system ... tetragonal
ΔH_f (0 K) ... -596.0 meV per atom
Volume ... 66.4 Å³/cell
DOS at the Fermi energy ... 2.341 states/eV/cell
Total moment ... 0.00 μB per formula unit

Lattice parameters (Å, degrees): 4.5635 4.5635 4.5635 120.72 120.79 88.70
Last column: nearest neighbours and their distance in Å.
Sites, in units of the cell vectors:
Zn1 0.0000 0.0000 0.0000  4 Zn 2.78-2.79, 4 Pt 2.78-2.79
Zr1 0.5000 0.5000 0.0000  4 Pt 2.78, 4 Zn 2.78
Zn2 0.7498 0.2498 0.5000  4 Zn 2.78-2.79, 4 Zr 2.78
Pt1 0.2502 0.7502 0.5000  4 Zn 2.78-2.79, 4 Zr 2.78


> Which of these has the highest total moment?

CePr5Sm4

=====

# MnHgBr2

A relaxed structure of MnHgBr2 (GGA-PBE, Alexandria via LeMat-Bulk).
- - -

_Result_
No. 1
DFT (PBE) results for a relaxed Zn4Cd2Ag5 crystal.

a = 5.9600 Å, b = 5.9600 Å, c = 8.3600 Å
α = 120.71°, β = 120.71°, γ = 56.68°
Fractional positions:
Zn 0.2260 0.2260 0.1443
Zn 0.2429 0.2429 0.4848
Zn 0.7571 0.7571 0.5152
Zn 0.7740 0.7740 0.8557
Cd 0.2353 0.2353 0.8078
Cd 0.7647 0.7647 0.1922
Ag 0.2487 0.7430 0.8131
Ag 0.2570 0.7513 0.1869
Ag 0.5000 0.5000 0.5000
Ag 0.7430 0.2487 0.8131
Ag 0.7513 0.2570 0.1869

ΔE to the lowest computed polymorph: 7 meV per atom
Volume: 202.1 Å³/cell
ρ: 8.43 g/cm³

---

No. 2
DFT (PBE) results for a relaxed ZnCd2Ag4 crystal.

a = 11.8022 Å, b = 11.8022 Å, c = 3.8337 Å
α = 90.00°, β = 90.00°, γ = 165.30°
Fractional positions:
Zn 0.0000 0.0000 0.0000
Cd 0.3042 0.6958 0.5000
Cd 0.6958 0.3042 0.5000
Ag 0.1265 0.8735 0.0000
Ag 0.4396 0.5604 0.5000
Ag 0.5604 0.4396 0.5000
Ag 0.8735 0.1265 0.0000

ΔE to the lowest computed polymorph: 0 meV per atom
Volume: 135.5 Å³/cell
ρ: 8.84 g/cm³

---

No. 3
DFT (PBE) results for a relaxed Zn2CdAg crystal.

a = 9.1797 Å, b = 9.1797 Å, c = 9.1797 Å
α = 18.91°, β = 18.91°, γ = 18.91°
Fractional positions:
Zn 0.0000 0.0000 0.0000
Zn 0.2591 0.2591 0.2591
Cd 0.7546 0.7546 0.7546
Ag 0.5124 0.5124 0.5124

Total DFT energy (no corrections): -0.1116 Ry per atom
Volume: 71.0 Å³/cell
ρ: 8.21 g/cm³

=====

# 1
Below is crystalline CePr5Sm4 at its relaxed geometry, with properties calculated at the GGA-PBE level.

Crystal system ... monoclinic
ΔH_f (0 K) ... 99.8 meV per atom
Volume ... 348.5 Å³/cell
DOS at the Fermi energy ... 16.451 states/eV/cell
Total moment ... 0.47 μB per formula unit

Lattice parameters (Å, degrees): 3.5632 11.2186 9.2877 73.37 101.06 90.00
Last column: nearest neighbours and their distance in Å.
Sites, in units of the cell vectors:
Sm1 0.9075 0.8105 0.8150  4 Pr 3.43-3.84, 5 Sm 3.54-3.71, 2 Ce 3.55
Sm2 0.0925 0.1895 0.1850  4 Pr 3.43-3.84, 5 Sm 3.54-3.71, 2 Ce 3.55
Ce1 0.5000 0.0000 0.0000  6 Sm 3.40-3.55, 2 Ce 3.56, 4 Pr 3.66
Pr1 0.7947 0.6011 0.5894  7 Pr 3.50-3.78, 2 Sm 3.50-3.55
Sm3 0.3054 0.0809 0.6108  1 Ce 3.40, 3 Pr 3.50-3.64, 7 Sm 3.54-3.71
Pr2 0.1043 0.7164 0.2086  3 Sm 3.43-3.64, 5 Pr 3.50-3.78, 2 Ce 3.66
Pr3 0.5000 0.5000 0.0000  6 Pr 3.56-3.92, 4 Sm 3.84
Pr4 0.8957 0.2836 0.7914  3 Sm 3.43-3.64, 5 Pr 3.50-3.78, 2 Ce 3.66
Sm4 0.6946 0.9191 0.3892  1 Ce 3.40, 3 Pr 3.50-3.64, 7 Sm 3.54-3.71
Pr5 0.2053 0.3989 0.4106  7 Pr 3.50-3.78, 2 Sm 3.50-3.55


# 2
Below is crystalline ZrZn2Pt at its relaxed geometry, with properties calculated at the GGA-PBE level.

Crystal system ... tetragonal
ΔH_f (0 K) ... -596.0 meV per atom
Volume ... 66.4 Å³/cell
DOS at the Fermi energy ... 2.341 states/eV/cell
Total moment ... 0.00 μB per formula unit

Lattice parameters (Å, degrees): 4.5635 4.5635 4.5635 120.72 120.79 88.70
Last column: nearest neighbours and their distance in Å.
Sites, in units of the cell vectors:
Zn1 0.0000 0.0000 0.0000  4 Zn 2.78-2.79, 4 Pt 2.78-2.79
Zr1 0.5000 0.5000 0.0000  4 Pt 2.78, 4 Zn 2.78
Zn2 0.7498 0.2498 0.5000  4 Zn 2.78-2.79, 4 Zr 2.78
Pt1 0.2502 0.7502 0.5000  4 Zn 2.78-2.79, 4 Zr 2.78


Please write out number 2 again, unchanged.
Below is crystalline ZrZn2Pt at its relaxed geometry, with properties calculated at the GGA-PBE level.

Crystal system ... tetragonal
ΔH_f (0 K) ... -596.0 meV per atom
Volume ... 66.4 Å³/cell
DOS at the Fermi energy ... 2.341 states/eV/cell
Total moment ... 0.00 μB per formula unit

Lattice parameters (Å, degrees): 4.5635 4.5635 4.5635 120.72 120.79 88.70
Last column: nearest neighbours and their distance in Å.
Sites, in units of the cell vectors:
Zn1 0.0000 0.0000 0.0000  4 Zn 2.78-2.79, 4 Pt 2.78-2.79
Zr1 0.5000 0.5000 0.0000  4 Pt 2.78, 4 Zn 2.78
Zn2 0.7498 0.2498 0.5000  4 Zn 2.78-2.79, 4 Zr 2.78
Pt1 0.2502 0.7502 0.5000  4 Zn 2.78-2.79, 4 Zr 2.78


> Which of these has the highest total moment?

CePr5Sm4

=====

# MnHgBr2

A relaxed structure of MnHgBr2 (GGA-PBE, Alexandria via LeMat-Bulk).